Next, count the lines underneath that contain the word "AgAsH2" and give the number alone.

/*
Record 1
A geometry-optimized CsZn2Ge structure. Source: Alexandria, functional PBE-GGA.

Results
formation energy = 0.082 eV per atom
volume = 275.4 Å³ per cell
space group = I4_1/amd, No. 141

Cell: 9.095 9.095 9.095 Å, 142.62 142.62 53.90°
Element x y z (fractional)
Cs 0.375 0.625 0.750
Cs 0.625 0.375 0.250
Zn 0.000 0.000 0.000
Zn 0.000 0.000 0.500
Zn 0.000 0.500 0.000
Zn 0.500 0.000 0.500
Ge 0.125 0.875 0.250
Ge 0.875 0.125 0.750

---

Record 2
A geometry-optimized TmMgSbAu structure. Source: Alexandria, functional PBE-GGA.

Results
volume = 91.7 Å³ per cell
space group = F-43m, No. 216
total DFT energy (no corrections) = -15.673 eV per cell

Cell: 5.062 5.062 5.062 Å, 60.00 60.00 60.00°
Element x y z (fractional)
Tm 0.000 0.000 0.000
Mg 0.500 0.500 0.500
Sb 0.250 0.250 0.250
Au 0.750 0.750 0.750

---

Record 3
A geometry-optimized AgAsH2 structure. Source: Alexandria, functional PBE-GGA.

Results
energy above the lowest structure with this stoichiometry = 0.241 eV/atom
volume = 45.1 Å³ per cell
space group = Fm-3m, No. 225

Cell: 3.995 3.995 3.995 Å, 60.00 60.00 60.00°
Element x y z (fractional)
Ag 0.000 0.000 0.000
As 0.500 0.500 0.500
H 0.250 0.250 0.250
H 0.750 0.750 0.750

---

Record 4
A geometry-optimized BeSb2 structure. Source: Alexandria, functional PBE-GGA.

Results
energy above the lowest structure with this stoichiometry = 0.171 eV/atom
volume = 68.5 Å³ per cell
space group = I4/mmm, No. 139

Cell: 6.393 6.393 6.393 Å, 149.14 149.14 44.20°
Element x y z (fractional)
Be 0.000 0.000 0.000
Sb 0.378 0.378 0.000
Sb 0.622 0.622 0.000

---

Record 5
A geometry-optimized MnSbC3 structure. Source: Alexandria, functional PBE-GGA.

Results
energy above the lowest structure with this stoichiometry = 1.442 eV/atom
volume = 73.2 Å³ per cell
space group = Pm-3m, No. 221

Cell: 4.184 4.184 4.184 Å, 90.00 90.00 90.00°
Element x y z (fractional)
Mn 0.000 0.000 0.000
Sb 0.500 0.500 0.500
C 0.000 0.500 0.500
C 0.500 0.000 0.500
C 0.500 0.500 0.000

---

Record 6
A geometry-optimized CuSb structure. Source: Alexandria, functional PBE-GGA.

Results
volume = 183.3 Å³ per cell
space group = I4/m, No. 87
total DFT energy (no corrections) = -31.488 eV per cell

Cell: 6.864 6.864 6.864 Å, 95.68 95.68 143.34°
Element x y z (fractional)
Cu 0.061 0.182 0.243
Cu 0.182 0.939 0.121
Cu 0.818 0.061 0.879
Cu 0.939 0.818 0.757
Sb 0.170 0.654 0.824
Sb 0.346 0.170 0.516
Sb 0.654 0.830 0.484
Sb 0.830 0.346 0.176

---

Record 7
A geometry-optimized Y8C3Se3S structure. Source: Alexandria, functional PBE-GGA.

Results
volume = 323.7 Å³ per cell
space group = R-3m, No. 166
total DFT energy (no corrections) = -112.255 eV per cell

Cell: 7.820 7.820 7.820 Å, 58.15 58.15 58.15°
Element x y z (fractional)
Y 0.214 0.751 0.751
Y 0.235 0.235 0.235
Y 0.249 0.249 0.786
Y 0.249 0.786 0.249
Y 0.751 0.214 0.751
Y 0.751 0.751 0.214
Y 0.765 0.765 0.765
Y 0.786 0.249 0.249
C 0.000 0.000 0.500
C 0.000 0.500 0.000
C 0.500 0.000 0.000
Se 0.000 0.500 0.500
Se 0.500 0.000 0.500
Se 0.500 0.500 0.000
S 0.500 0.500 0.500

---

Record 8
A geometry-optimized KScN2O structure. Source: Alexandria, functional PBE-GGA.

Results
volume = 81.7 Å³ per cell
space group = P4/mmm, No. 123
total DFT energy (no corrections) = -30.183 eV per cell

Cell: 4.454 4.454 4.119 Å, 90.00 90.00 90.00°
Element x y z (fractional)
K 0.000 0.000 0.000
Sc 0.500 0.500 0.500
N 0.000 0.500 0.500
N 0.500 0.000 0.500
O 0.500 0.500 0.000

---

Record 9
A geometry-optimized Ba2TlBiTe5 structure. Source: Alexandria, functional PBE-GGA.

Results
volume = 690.4 Å³ per cell
space group = Cmc2_1, No. 36
total DFT energy (no corrections) = -67.776 eV per cell

Cell: 10.688 10.688 14.132 Å, 90.00 90.00 154.68°
Element x y z (fractional)
Ba 0.114 0.886 0.500
Ba 0.129 0.871 0.127
Ba 0.871 0.129 0.627
Ba 0.886 0.114 0.000
Tl 0.440 0.560 0.260
Tl 0.560 0.440 0.760
Bi 0.214 0.786 0.835
Bi 0.786 0.214 0.335
Te 0.049 0.951 0.883
Te 0.283 0.717 0.483
Te 0.307 0.693 0.177
Te 0.357 0.643 0.816
Te 0.495 0.505 0.581
*/

1